Source:
........
Li3SiBiO5 | PBE-GGA | optimized geometry

The structure in extended XYZ format:
```
40
Lattice="-4.1215 3.2540 0.6075 0.2643 -0.6865 5.4707 10.3618 12.9149 1.1201" Properties=species:S:1:pos:R:3 pbc="T T T"
Li 2.0537 10.2567 4.8781
Li 5.4846 15.0410 2.5279
Li 8.1608 14.1658 3.1953
Li 3.4376 7.7708 5.4058
Li 6.4480 11.7814 2.8253
Li 5.4085 9.9778 5.4340
Li 2.4107 6.8365 2.6208
Li -1.0203 2.0522 4.9710
Li 0.2776 -0.2102 3.7179
Li 5.0008 6.1848 1.5074
Li -0.8189 7.0166 2.0465
Li -1.8584 5.2129 4.6552
Si 0.9961 1.1167 1.0255
Si 4.3609 4.8026 4.1103
Si 4.1598 9.0880 2.7907
Si 7.5246 12.7739 5.8755
Bi 6.9800 8.8058 1.7781
Bi 8.5056 10.1993 4.6641
Bi -0.2254 3.8812 2.2724
Bi 1.3002 5.2747 5.1584
O 8.0578 10.6109 2.5864
O 6.9208 8.6858 5.1845
O 3.6302 5.2136 2.7106
O 0.8180 1.2005 5.1277
O -0.2509 0.6173 1.9597
O 4.4927 6.0217 5.1935
O -2.0254 5.3372 2.5280
O -0.5328 6.6896 5.4104
O 5.1765 7.7617 2.7004
O 9.0451 12.0755 5.8397
O 0.7922 5.8425 1.8356
O -0.3447 3.9174 4.4337
O 6.6707 13.5050 1.9255
O 3.8584 9.4918 4.3425
O 2.8239 8.8195 1.8851
O 7.5675 14.2240 5.1189
O 5.1813 10.2583 2.0614
O 6.6739 11.6107 4.9438
O -2.1205 3.0753 1.2967
O 1.7480 7.3891 4.4359
```

Values from the calculation:
E   -6.057 eV per atom
ΔE_f   -2422 meV per atom
Calculated volume   121 Å³/f.u.
Space-group type   No. 33

* * * * *

[1]
VASP calculation (GGA-PBE) on an optimized crystal structure of Bi2Pb3S6.

a = 7.1346 Å, b = 7.1346 Å, c = 20.9285 Å
α = 90.00°, β = 90.00°, γ = 146.52°
Last column: nearest neighbours and their distance in Å.
Fractional coordinates of all 22 atoms:
Bi: 0.0899 0.9101 0.3645  5 S 2.74-2.86
Bi: 0.9101 0.0899 0.6355  5 S 2.74-2.86
Bi: 0.0899 0.9101 0.1355  5 S 2.74-2.86
Bi: 0.9101 0.0899 0.8645  5 S 2.74-2.86
Pb: 0.3613 0.6387 0.4547  6 S 2.82-3.12
Pb: 0.6387 0.3613 0.5453  6 S 2.82-3.12
Pb: 0.3613 0.6387 0.0453  6 S 2.82-3.12
Pb: 0.6387 0.3613 0.9547  6 S 2.82-3.12
Pb: 0.8366 0.1634 0.2500  6 S 2.90-3.17
Pb: 0.1634 0.8366 0.7500  6 S 2.90-3.17
S: 0.1869 0.8131 0.2500  2 Bi 2.74, 2 Pb 2.90
S: 0.8131 0.1869 0.7500  2 Bi 2.74, 2 Pb 2.90
S: 0.4559 0.5441 0.3348  2 Bi 2.82, 1 Pb 2.82
S: 0.5441 0.4559 0.6652  2 Bi 2.82, 1 Pb 2.82
S: 0.4559 0.5441 0.1652  2 Bi 2.82, 1 Pb 2.82
S: 0.5441 0.4559 0.8348  2 Bi 2.82, 1 Pb 2.82
S: 0.7207 0.2793 0.4064  2 Bi 2.86, 3 Pb 2.99-3.12
S: 0.2793 0.7207 0.5936  2 Bi 2.86, 3 Pb 2.99-3.12
S: 0.7207 0.2793 0.0936  2 Bi 2.86, 3 Pb 2.99-3.12
S: 0.2793 0.7207 0.9064  2 Bi 2.86, 3 Pb 2.99-3.12
S: 0.0000 0.0000 0.5000  4 Pb 2.95, 2 Bi 3.09
S: 0.0000 0.0000 0.0000  4 Pb 2.95, 2 Bi 3.09

The corrected total energy (MP2020 scheme) is -4.6857 eV per atom. Its excess energy over the best structure of this formula in the dataset is 0.012 eV/atom. The value obtained for the calculated total energy is -4.411 eV per atom.

***

[2]
VASP calculation (GGA-PBE) on an optimized crystal structure of Bi2PbS4.

a = 4.1329 Å, b = 11.8954 Å, c = 14.6864 Å
α = 90.00°, β = 90.00°, γ = 90.00°
Last column: nearest neighbours and their distance in Å.
Fractional coordinates of all 28 atoms:
Bi: 0.2500 0.8977 0.0972  6 S 2.77-3.02
Bi: 0.7500 0.1023 0.9028  6 S 2.77-3.02
Bi: 0.7500 0.5673 0.1086  5 S 2.68-2.96
Bi: 0.2500 0.3977 0.4028  6 S 2.77-3.02
Bi: 0.7500 0.6023 0.5972  6 S 2.77-3.02
Bi: 0.2500 0.9327 0.6086  5 S 2.68-2.96
Bi: 0.2500 0.4327 0.8914  5 S 2.68-2.96
Bi: 0.7500 0.0673 0.3914  5 S 2.68-2.96
Pb: 0.7500 0.7461 0.8475  5 S 2.86-3.08
Pb: 0.2500 0.7539 0.3475  5 S 2.86-3.08
Pb: 0.2500 0.2539 0.1525  5 S 2.86-3.08
Pb: 0.7500 0.2461 0.6525  5 S 2.86-3.08
S: 0.7500 0.3363 0.0124  4 Bi 2.96-3.22, 2 Pb 3.08
S: 0.2500 0.7374 0.6995  1 Bi 2.68
S: 0.2500 0.9474 0.9095  3 Bi 2.77-2.82
S: 0.7500 0.8363 0.4876  4 Bi 2.96-3.22, 2 Pb 3.08
S: 0.7500 0.0526 0.0905  3 Bi 2.77-2.82
S: 0.7500 0.2626 0.3005  1 Bi 2.68
S: 0.2500 0.4474 0.5905  3 Bi 2.77-2.82
S: 0.2500 0.6637 0.9876  4 Bi 2.96-3.22, 2 Pb 3.08
S: 0.2500 0.4822 0.2126  3 Bi 2.76-2.97, 1 Pb 2.86
S: 0.2500 0.9822 0.2874  3 Bi 2.76-2.97, 1 Pb 2.86
........
Work order:
Could you write out the data further up from the first line to the one with "0.9876" exactly?
Result:
Li3SiBiO5 | PBE-GGA | optimized geometry

The structure in extended XYZ format:
```
40
Lattice="-4.1215 3.2540 0.6075 0.2643 -0.6865 5.4707 10.3618 12.9149 1.1201" Properties=species:S:1:pos:R:3 pbc="T T T"
Li 2.0537 10.2567 4.8781
Li 5.4846 15.0410 2.5279
Li 8.1608 14.1658 3.1953
Li 3.4376 7.7708 5.4058
Li 6.4480 11.7814 2.8253
Li 5.4085 9.9778 5.4340
Li 2.4107 6.8365 2.6208
Li -1.0203 2.0522 4.9710
Li 0.2776 -0.2102 3.7179
Li 5.0008 6.1848 1.5074
Li -0.8189 7.0166 2.0465
Li -1.8584 5.2129 4.6552
Si 0.9961 1.1167 1.0255
Si 4.3609 4.8026 4.1103
Si 4.1598 9.0880 2.7907
Si 7.5246 12.7739 5.8755
Bi 6.9800 8.8058 1.7781
Bi 8.5056 10.1993 4.6641
Bi -0.2254 3.8812 2.2724
Bi 1.3002 5.2747 5.1584
O 8.0578 10.6109 2.5864
O 6.9208 8.6858 5.1845
O 3.6302 5.2136 2.7106
O 0.8180 1.2005 5.1277
O -0.2509 0.6173 1.9597
O 4.4927 6.0217 5.1935
O -2.0254 5.3372 2.5280
O -0.5328 6.6896 5.4104
O 5.1765 7.7617 2.7004
O 9.0451 12.0755 5.8397
O 0.7922 5.8425 1.8356
O -0.3447 3.9174 4.4337
O 6.6707 13.5050 1.9255
O 3.8584 9.4918 4.3425
O 2.8239 8.8195 1.8851
O 7.5675 14.2240 5.1189
O 5.1813 10.2583 2.0614
O 6.6739 11.6107 4.9438
O -2.1205 3.0753 1.2967
O 1.7480 7.3891 4.4359
```

Values from the calculation:
E   -6.057 eV per atom
ΔE_f   -2422 meV per atom
Calculated volume   121 Å³/f.u.
Space-group type   No. 33

* * * * *

[1]
VASP calculation (GGA-PBE) on an optimized crystal structure of Bi2Pb3S6.

a = 7.1346 Å, b = 7.1346 Å, c = 20.9285 Å
α = 90.00°, β = 90.00°, γ = 146.52°
Last column: nearest neighbours and their distance in Å.
Fractional coordinates of all 22 atoms:
Bi: 0.0899 0.9101 0.3645  5 S 2.74-2.86
Bi: 0.9101 0.0899 0.6355  5 S 2.74-2.86
Bi: 0.0899 0.9101 0.1355  5 S 2.74-2.86
Bi: 0.9101 0.0899 0.8645  5 S 2.74-2.86
Pb: 0.3613 0.6387 0.4547  6 S 2.82-3.12
Pb: 0.6387 0.3613 0.5453  6 S 2.82-3.12
Pb: 0.3613 0.6387 0.0453  6 S 2.82-3.12
Pb: 0.6387 0.3613 0.9547  6 S 2.82-3.12
Pb: 0.8366 0.1634 0.2500  6 S 2.90-3.17
Pb: 0.1634 0.8366 0.7500  6 S 2.90-3.17
S: 0.1869 0.8131 0.2500  2 Bi 2.74, 2 Pb 2.90
S: 0.8131 0.1869 0.7500  2 Bi 2.74, 2 Pb 2.90
S: 0.4559 0.5441 0.3348  2 Bi 2.82, 1 Pb 2.82
S: 0.5441 0.4559 0.6652  2 Bi 2.82, 1 Pb 2.82
S: 0.4559 0.5441 0.1652  2 Bi 2.82, 1 Pb 2.82
S: 0.5441 0.4559 0.8348  2 Bi 2.82, 1 Pb 2.82
S: 0.7207 0.2793 0.4064  2 Bi 2.86, 3 Pb 2.99-3.12
S: 0.2793 0.7207 0.5936  2 Bi 2.86, 3 Pb 2.99-3.12
S: 0.7207 0.2793 0.0936  2 Bi 2.86, 3 Pb 2.99-3.12
S: 0.2793 0.7207 0.9064  2 Bi 2.86, 3 Pb 2.99-3.12
S: 0.0000 0.0000 0.5000  4 Pb 2.95, 2 Bi 3.09
S: 0.0000 0.0000 0.0000  4 Pb 2.95, 2 Bi 3.09

The corrected total energy (MP2020 scheme) is -4.6857 eV per atom. Its excess energy over the best structure of this formula in the dataset is 0.012 eV/atom. The value obtained for the calculated total energy is -4.411 eV per atom.

***

[2]
VASP calculation (GGA-PBE) on an optimized crystal structure of Bi2PbS4.

a = 4.1329 Å, b = 11.8954 Å, c = 14.6864 Å
α = 90.00°, β = 90.00°, γ = 90.00°
Last column: nearest neighbours and their distance in Å.
Fractional coordinates of all 28 atoms:
Bi: 0.2500 0.8977 0.0972  6 S 2.77-3.02
Bi: 0.7500 0.1023 0.9028  6 S 2.77-3.02
Bi: 0.7500 0.5673 0.1086  5 S 2.68-2.96
Bi: 0.2500 0.3977 0.4028  6 S 2.77-3.02
Bi: 0.7500 0.6023 0.5972  6 S 2.77-3.02
Bi: 0.2500 0.9327 0.6086  5 S 2.68-2.96
Bi: 0.2500 0.4327 0.8914  5 S 2.68-2.96
Bi: 0.7500 0.0673 0.3914  5 S 2.68-2.96
Pb: 0.7500 0.7461 0.8475  5 S 2.86-3.08
Pb: 0.2500 0.7539 0.3475  5 S 2.86-3.08
Pb: 0.2500 0.2539 0.1525  5 S 2.86-3.08
Pb: 0.7500 0.2461 0.6525  5 S 2.86-3.08
S: 0.7500 0.3363 0.0124  4 Bi 2.96-3.22, 2 Pb 3.08
S: 0.2500 0.7374 0.6995  1 Bi 2.68
S: 0.2500 0.9474 0.9095  3 Bi 2.77-2.82
S: 0.7500 0.8363 0.4876  4 Bi 2.96-3.22, 2 Pb 3.08
S: 0.7500 0.0526 0.0905  3 Bi 2.77-2.82
S: 0.7500 0.2626 0.3005  1 Bi 2.68
S: 0.2500 0.4474 0.5905  3 Bi 2.77-2.82
S: 0.2500 0.6637 0.9876  4 Bi 2.96-3.22, 2 Pb 3.08